-- Given --
'''
Below is an optimized crystal structure of Y5Tl3, with properties calculated at the meta-GGA r2SCAN level.

Space group   P6_3/mcm (193)
Calculated total energy   -529.8 eV for the cell shown
DFT formation energy   -0.4712 eV/atom

Cell and atoms, written as POSCAR:
```
Y5Tl3
1.0
-3.560 5.106 -2.470
6.579 5.697 2.294
0.045 -3.894 -8.114
Y Tl
10 6
direct
0.750 0.000 0.238
0.250 0.238 0.238
0.500 0.333 0.667
0.000 0.667 0.333
0.750 0.238 0.000
0.250 0.000 0.762
0.250 0.762 0.000
0.750 0.762 0.762
0.500 0.667 0.333
0.000 0.333 0.667
0.750 0.402 0.402
0.250 0.402 0.000
0.750 0.598 0.000
0.250 0.598 0.598
0.750 0.000 0.598
0.250 0.000 0.402
```



Below is an optimized crystal structure of MoC6O6, with properties calculated at the meta-GGA r2SCAN level.

Space group   Pnma (62)
Calculated total energy   -522.8 eV for the cell shown
DFT formation energy   -0.7014 eV/atom

Cell and atoms, written as POSCAR:
```
MoC6O6
1.0
6.364 0.000 0.000
0.000 11.214 0.000
0.000 0.000 11.793
C O Mo
24 24 4
direct
0.563 0.381 0.729
0.792 0.250 0.034
0.063 0.881 0.771
0.063 0.619 0.771
0.815 0.621 0.976
0.185 0.121 0.024
0.315 0.121 0.524
0.685 0.621 0.476
0.292 0.750 0.466
0.708 0.250 0.534
0.168 0.250 0.723
0.437 0.881 0.271
0.815 0.879 0.976
0.668 0.750 0.777
0.185 0.379 0.024
0.563 0.119 0.729
0.332 0.250 0.223
0.208 0.750 0.966
0.937 0.381 0.229
0.315 0.379 0.524
0.832 0.750 0.277
0.685 0.879 0.476
0.937 0.119 0.229
0.437 0.619 0.271
0.866 0.455 0.285
0.752 0.549 0.535
0.748 0.549 0.035
0.252 0.049 0.965
0.483 0.250 0.276
0.361 0.750 0.018
0.866 0.045 0.285
0.634 0.455 0.785
0.748 0.951 0.035
0.366 0.955 0.215
0.248 0.451 0.465
0.139 0.750 0.518
0.134 0.545 0.715
0.252 0.451 0.965
0.366 0.545 0.215
0.248 0.049 0.465
0.634 0.045 0.785
0.983 0.750 0.224
0.752 0.951 0.535
0.134 0.955 0.715
0.639 0.250 0.982
0.861 0.250 0.482
0.017 0.250 0.776
0.517 0.750 0.724
0.563 0.750 0.372
0.937 0.750 0.872
0.437 0.250 0.628
0.063 0.250 0.128
```



Below is an optimized crystal structure of GdSbS, with properties calculated at the meta-GGA r2SCAN level.

Space group   Pnma (62)
Calculated total energy   -327.7 eV for the cell shown
DFT formation energy   -1.5973 eV/atom

Cell and atoms, written as POSCAR:
```
GdSbS
1.0
-3.321 2.318 -0.617
2.353 2.943 -1.610
-1.991 -7.068 -15.828
S Sb Gd
4 4 4
direct
0.258 0.750 0.187
0.242 0.750 0.687
0.742 0.250 0.813
0.758 0.250 0.313
0.752 0.750 0.500
0.248 0.250 0.500
0.748 0.750 0.000
0.252 0.250 0.000
0.243 0.750 0.846
0.757 0.250 0.154
0.743 0.250 0.654
0.257 0.750 0.346
```



Below is an optimized crystal structure of La3Lu, with properties calculated at the meta-GGA r2SCAN level.

Space group   I4/mmm (139)
Calculated total energy   -127.2 eV for the cell shown
DFT formation energy   0.0287 eV/atom

Cell and atoms, written as POSCAR:
```
La3Lu
1.0
3.154 -4.479 -3.276
4.682 -2.440 3.586
-6.218 0.912 1.114
La Lu
3 1
direct
0.500 0.500 0.000
0.250 0.750 0.500
0.750 0.250 0.500
0.000 0.000 0.000
```



Below is an optimized crystal structure of BeH8N2F4, with properties calculated at the meta-GGA r2SCAN level.

Space group   Pna2_1 (33)
Calculated total energy   -678.9 eV for the cell shown
DFT formation energy   -1.4747 eV/atom

Cell and atoms, written as POSCAR:
```
BeH8N2F4
1.0
-0.312 5.604 1.627
-3.672 -2.919 9.348
14.055 -0.753 5.286
N H F Be
16 64 32 8
direct
0.258 0.702 0.350
0.242 0.702 0.850
0.731 0.299 0.900
0.769 0.299 0.400
0.742 0.202 0.650
0.255 0.102 0.474
0.269 0.398 0.223
0.245 0.102 0.974
0.269 0.799 0.100
0.755 0.602 0.026
0.769 0.898 0.277
0.231 0.398 0.723
0.731 0.898 0.777
0.758 0.202 0.150
0.231 0.799 0.600
0.745 0.602 0.526
0.586 0.576 0.032
0.629 0.319 0.954
0.371 0.819 0.046
0.098 0.423 0.219
0.859 0.527 0.046
0.307 0.856 0.154
0.196 0.369 0.786
0.076 0.677 0.834
0.205 0.706 0.619
0.693 0.356 0.846
0.716 0.623 0.460
0.696 0.869 0.714
0.599 0.313 0.414
0.789 0.149 0.595
0.129 0.819 0.546
0.650 0.184 0.203
0.795 0.206 0.381
0.204 0.325 0.678
0.796 0.825 0.322
0.807 0.356 0.346
0.130 0.476 0.706
'''

-- Work order --
Start at the top of the contents further up and write out each line, ending with the one that has "0.872", please.

-- Outcome --
Below is an optimized crystal structure of Y5Tl3, with properties calculated at the meta-GGA r2SCAN level.

Space group   P6_3/mcm (193)
Calculated total energy   -529.8 eV for the cell shown
DFT formation energy   -0.4712 eV/atom

Cell and atoms, written as POSCAR:
```
Y5Tl3
1.0
-3.560 5.106 -2.470
6.579 5.697 2.294
0.045 -3.894 -8.114
Y Tl
10 6
direct
0.750 0.000 0.238
0.250 0.238 0.238
0.500 0.333 0.667
0.000 0.667 0.333
0.750 0.238 0.000
0.250 0.000 0.762
0.250 0.762 0.000
0.750 0.762 0.762
0.500 0.667 0.333
0.000 0.333 0.667
0.750 0.402 0.402
0.250 0.402 0.000
0.750 0.598 0.000
0.250 0.598 0.598
0.750 0.000 0.598
0.250 0.000 0.402
```



Below is an optimized crystal structure of MoC6O6, with properties calculated at the meta-GGA r2SCAN level.

Space group   Pnma (62)
Calculated total energy   -522.8 eV for the cell shown
DFT formation energy   -0.7014 eV/atom

Cell and atoms, written as POSCAR:
```
MoC6O6
1.0
6.364 0.000 0.000
0.000 11.214 0.000
0.000 0.000 11.793
C O Mo
24 24 4
direct
0.563 0.381 0.729
0.792 0.250 0.034
0.063 0.881 0.771
0.063 0.619 0.771
0.815 0.621 0.976
0.185 0.121 0.024
0.315 0.121 0.524
0.685 0.621 0.476
0.292 0.750 0.466
0.708 0.250 0.534
0.168 0.250 0.723
0.437 0.881 0.271
0.815 0.879 0.976
0.668 0.750 0.777
0.185 0.379 0.024
0.563 0.119 0.729
0.332 0.250 0.223
0.208 0.750 0.966
0.937 0.381 0.229
0.315 0.379 0.524
0.832 0.750 0.277
0.685 0.879 0.476
0.937 0.119 0.229
0.437 0.619 0.271
0.866 0.455 0.285
0.752 0.549 0.535
0.748 0.549 0.035
0.252 0.049 0.965
0.483 0.250 0.276
0.361 0.750 0.018
0.866 0.045 0.285
0.634 0.455 0.785
0.748 0.951 0.035
0.366 0.955 0.215
0.248 0.451 0.465
0.139 0.750 0.518
0.134 0.545 0.715
0.252 0.451 0.965
0.366 0.545 0.215
0.248 0.049 0.465
0.634 0.045 0.785
0.983 0.750 0.224
0.752 0.951 0.535
0.134 0.955 0.715
0.639 0.250 0.982
0.861 0.250 0.482
0.017 0.250 0.776
0.517 0.750 0.724
0.563 0.750 0.372
0.937 0.750 0.872